-- Job --
Please quote the whole of the calculation results underneath verbatim.

-- Input --
=====
C4H6BrFO in the gas phase at a distorted geometry. Source: the Open Molecules 2025 dataset; level of theory: wB97M-V/def2-TZVPD.

```
13
C4H6BrFO wB97M-V/def2-TZVPD
C 0.053 3.505 -0.786
C 0.335 2.405 0.052
C -0.534 -1.057 0.145
C 0.397 0.078 0.646
O 0.051 1.158 -0.217
F 1.163 2.534 1.136
Br 0.422 5.265 -0.202
H -0.754 3.435 -1.526
H -0.965 -1.532 1.048
H -1.206 -0.805 -0.652
H 0.191 -1.739 -0.239
H 1.438 0.043 0.584
H 0.066 0.293 1.563
```

Summary:
Energy above the lowest of the compared OMol25 structures with the same formula, charge and spin: 39.5 kcal per mole
Electronic energy: -79050.594 eV
2S+1: 1
HOMO energy: -8.37 eV
Largest force on an atom: 4.042 eV/Å
LUMO: 0.82 eV
Structure (SMILES): CCO/C(F)=C/Br

=====

The following is a DFT calculation (ωB97M-V with the def2-TZVPD basis set) of one molecule with the formula C26H33N5O5 in a non-equilibrium geometry.

ΔE to the lowest compared entry with this formula, charge and spin	43.3	kcal per mole
E_LUMO	0.5	eV
HOMO-LUMO gap	8.68	eV
structure (SMILES)	COCCN(C(=O)Cn1nnc2ccccc21)[C@H](C(=O)NC1CCCC1)c1ccc(OC)cc1OC
calculated total energy	-1660.5178	Eh
HOMO energy	-0.302	hartree

Each line ends with the Mulliken charge.
Element x y z (Å)
C -1.39584 -5.15422 0.67698  -0.745
O -0.16196 -4.48850 0.49525  -0.312
C 0.22829 -3.67431 1.57796  -0.731
C -0.46640 -2.29906 1.61592  -1.122
N 0.20582 -1.28470 0.82348  0.491
C -0.07959 -0.98940 -0.45160  1.257
O 0.34495 0.00531 -1.02477  -0.727
C -1.03439 -1.93307 -1.19433  -2.080
N -2.39087 -1.56427 -0.90924  0.827
N -3.18458 -2.30041 -0.11914  -0.219
N -4.31466 -1.74162 0.03233  -1.054
C -4.32196 -0.57151 -0.66415  0.578
C -5.29685 0.41290 -0.83271  -0.736
C -4.96459 1.49259 -1.61404  -0.447
C -3.70221 1.61760 -2.21746  -0.693
C -2.72364 0.66343 -2.06649  -0.387
C -3.05465 -0.43745 -1.28420  0.818
C 1.24395 -0.52603 1.53064  1.397
C 0.56033 0.68653 2.20009  -0.728
O 0.47279 0.78693 3.40750  -0.727
N 0.04307 1.54856 1.31667  0.328
C -0.74037 2.70352 1.69011  -0.315
C -0.31033 3.93942 0.88057  -1.068
C -1.37834 4.08696 -0.20049  -0.472
C -2.65714 3.70782 0.53876  -0.731
C -2.23704 2.49177 1.36330  0.147
C 2.42360 -0.14543 0.66522  -0.340
C 3.02613 1.09318 0.78175  -1.160
C 4.12943 1.45074 0.02307  -1.122
C 4.65088 0.54389 -0.88673  0.377
O 5.71978 0.76953 -1.69917  -0.452
C 6.35517 2.02347 -1.63470  -0.863
C 4.07183 -0.71979 -1.00312  -0.429
C 2.98070 -1.07549 -0.23180  0.698
O 2.39451 -2.30408 -0.27399  -0.236
C 2.82811 -3.24222 -1.23006  -1.131
H -1.38360 -5.74690 1.59831  0.366
H -2.24223 -4.46012 0.70591  0.314
H -1.50763 -5.82002 -0.17695  0.253
H 1.30441 -3.52978 1.46143  0.380
H 0.03363 -4.19897 2.52311  0.306
H -1.50359 -2.40663 1.29316  0.663
H -0.48029 -1.93658 2.64685  0.563
H -0.84595 -1.80459 -2.26454  0.513
H -0.87221 -2.97220 -0.91008  0.143
H -6.26241 0.31492 -0.36465  0.453
H -5.69030 2.27674 -1.77264  0.419
H -3.49860 2.49339 -2.81572  0.384
H -1.74669 0.76106 -2.51277  0.406
H 1.60924 -1.17544 2.33506  0.867
H 0.17583 1.36136 0.32760  0.237
H -0.58132 2.84234 2.76248  0.588
H -0.31034 4.81984 1.52370  0.352
H 0.69060 3.81348 0.46997  0.379
H -1.19447 3.37740 -1.00855  0.106
H -1.41327 5.09135 -0.61961  0.471
H -2.95792 4.52393 1.19740  0.353
H -3.48397 3.48037 -0.13179  0.296
H -2.83701 2.37083 2.26287  0.358
H -2.34474 1.58575 0.76394  -0.497
H 2.63480 1.80603 1.49115  0.570
H 4.55969 2.42995 0.15348  0.414
H 6.77333 2.21134 -0.64060  0.330
H 5.67002 2.83475 -1.90026  0.340
H 7.16364 1.98198 -2.36299  0.258
H 4.51258 -1.40181 -1.71081  0.511
H 3.86357 -3.54870 -1.05169  0.350
H 2.16686 -4.09955 -1.10807  0.215
H 2.73437 -2.84815 -2.24608  0.446

***

The following is a DFT calculation (ωB97M-V with the def2-TZVPD basis set) of C26H33O4PRuSeSi as an isolated structure in a non-equilibrium geometry.

multiplicity	2
<S²>	0.775
ΔE to the lowest compared entry with this formula, charge and spin	17.9	kcal per mole
E_LUMO (spin up / spin down)	-3.4 / -4.4	eV
HOMO-LUMO gap (spin up / spin down)	7.74 / 6.52	eV
charge	+1
=====

-- Done --
C4H6BrFO in the gas phase at a distorted geometry. Source: the Open Molecules 2025 dataset; level of theory: wB97M-V/def2-TZVPD.

```
13
C4H6BrFO wB97M-V/def2-TZVPD
C 0.053 3.505 -0.786
C 0.335 2.405 0.052
C -0.534 -1.057 0.145
C 0.397 0.078 0.646
O 0.051 1.158 -0.217
F 1.163 2.534 1.136
Br 0.422 5.265 -0.202
H -0.754 3.435 -1.526
H -0.965 -1.532 1.048
H -1.206 -0.805 -0.652
H 0.191 -1.739 -0.239
H 1.438 0.043 0.584
H 0.066 0.293 1.563
```

Summary:
Energy above the lowest of the compared OMol25 structures with the same formula, charge and spin: 39.5 kcal per mole
Electronic energy: -79050.594 eV
2S+1: 1
HOMO energy: -8.37 eV
Largest force on an atom: 4.042 eV/Å
LUMO: 0.82 eV
Structure (SMILES): CCO/C(F)=C/Br

=====

The following is a DFT calculation (ωB97M-V with the def2-TZVPD basis set) of one molecule with the formula C26H33N5O5 in a non-equilibrium geometry.

ΔE to the lowest compared entry with this formula, charge and spin	43.3	kcal per mole
E_LUMO	0.5	eV
HOMO-LUMO gap	8.68	eV
structure (SMILES)	COCCN(C(=O)Cn1nnc2ccccc21)[C@H](C(=O)NC1CCCC1)c1ccc(OC)cc1OC
calculated total energy	-1660.5178	Eh
HOMO energy	-0.302	hartree

Each line ends with the Mulliken charge.
Element x y z (Å)
C -1.39584 -5.15422 0.67698  -0.745
O -0.16196 -4.48850 0.49525  -0.312
C 0.22829 -3.67431 1.57796  -0.731
C -0.46640 -2.29906 1.61592  -1.122
N 0.20582 -1.28470 0.82348  0.491
C -0.07959 -0.98940 -0.45160  1.257
O 0.34495 0.00531 -1.02477  -0.727
C -1.03439 -1.93307 -1.19433  -2.080
N -2.39087 -1.56427 -0.90924  0.827
N -3.18458 -2.30041 -0.11914  -0.219
N -4.31466 -1.74162 0.03233  -1.054
C -4.32196 -0.57151 -0.66415  0.578
C -5.29685 0.41290 -0.83271  -0.736
C -4.96459 1.49259 -1.61404  -0.447
C -3.70221 1.61760 -2.21746  -0.693
C -2.72364 0.66343 -2.06649  -0.387
C -3.05465 -0.43745 -1.28420  0.818
C 1.24395 -0.52603 1.53064  1.397
C 0.56033 0.68653 2.20009  -0.728
O 0.47279 0.78693 3.40750  -0.727
N 0.04307 1.54856 1.31667  0.328
C -0.74037 2.70352 1.69011  -0.315
C -0.31033 3.93942 0.88057  -1.068
C -1.37834 4.08696 -0.20049  -0.472
C -2.65714 3.70782 0.53876  -0.731
C -2.23704 2.49177 1.36330  0.147
C 2.42360 -0.14543 0.66522  -0.340
C 3.02613 1.09318 0.78175  -1.160
C 4.12943 1.45074 0.02307  -1.122
C 4.65088 0.54389 -0.88673  0.377
O 5.71978 0.76953 -1.69917  -0.452
C 6.35517 2.02347 -1.63470  -0.863
C 4.07183 -0.71979 -1.00312  -0.429
C 2.98070 -1.07549 -0.23180  0.698
O 2.39451 -2.30408 -0.27399  -0.236
C 2.82811 -3.24222 -1.23006  -1.131
H -1.38360 -5.74690 1.59831  0.366
H -2.24223 -4.46012 0.70591  0.314
H -1.50763 -5.82002 -0.17695  0.253
H 1.30441 -3.52978 1.46143  0.380
H 0.03363 -4.19897 2.52311  0.306
H -1.50359 -2.40663 1.29316  0.663
H -0.48029 -1.93658 2.64685  0.563
H -0.84595 -1.80459 -2.26454  0.513
H -0.87221 -2.97220 -0.91008  0.143
H -6.26241 0.31492 -0.36465  0.453
H -5.69030 2.27674 -1.77264  0.419
H -3.49860 2.49339 -2.81572  0.384
H -1.74669 0.76106 -2.51277  0.406
H 1.60924 -1.17544 2.33506  0.867
H 0.17583 1.36136 0.32760  0.237
H -0.58132 2.84234 2.76248  0.588
H -0.31034 4.81984 1.52370  0.352
H 0.69060 3.81348 0.46997  0.379
H -1.19447 3.37740 -1.00855  0.106
H -1.41327 5.09135 -0.61961  0.471
H -2.95792 4.52393 1.19740  0.353
H -3.48397 3.48037 -0.13179  0.296
H -2.83701 2.37083 2.26287  0.358
H -2.34474 1.58575 0.76394  -0.497
H 2.63480 1.80603 1.49115  0.570
H 4.55969 2.42995 0.15348  0.414
H 6.77333 2.21134 -0.64060  0.330
H 5.67002 2.83475 -1.90026  0.340
H 7.16364 1.98198 -2.36299  0.258
H 4.51258 -1.40181 -1.71081  0.511
H 3.86357 -3.54870 -1.05169  0.350
H 2.16686 -4.09955 -1.10807  0.215
H 2.73437 -2.84815 -2.24608  0.446

***

The following is a DFT calculation (ωB97M-V with the def2-TZVPD basis set) of C26H33O4PRuSeSi as an isolated structure in a non-equilibrium geometry.

multiplicity	2
<S²>	0.775
ΔE to the lowest compared entry with this formula, charge and spin	17.9	kcal per mole
E_LUMO (spin up / spin down)	-3.4 / -4.4	eV
HOMO-LUMO gap (spin up / spin down)	7.74 / 6.52	eV
charge	+1